A healthier you is within reach
Naturopathy is a health program that uses herbal and nutritional therapy to gently encourage your body's innate ability to heal and achieve optimum health.
No matter what’s going on for you health-wise, there are changes you can make, and herbs you can take, to help your body function as well as possible. Pain and discomfort can be considerably reduced or resolve altogether. And when your body functions well, you function well, and then life functions well. Hello flow, hello happiness, hello Joy.
Consults take place in the South Fremantle clinic or online to examine your diet, discuss your lifestyle and all of your symptoms and health worries. Together we come up with a plan and a prescription that may include herbal medicine, nutritional supplements and lifestyle practices such as exercise, relaxation and stress relief that stimulate your own innate healing mechanisms and nourish your body and soul.
Naturopathy is excellent for helping with
Gut health and digestive issues
Auto-immune conditions
Hormone issues, fertility and pre-conception care
Thyroid concerns
Skin health
Mood and mental wellbeing concerns
Weight management struggles
Bringing your body back to wellness takes a little time so ww have regular appointments, perhaps fortnightly at first, to make sure you’re on the right track and adjust the prescription as needed. The first consultation usually takes an hour with follow ups taking between 30 and 40 minutes.
Whatever your health journey looks like right now, together we can tailor a program that brings you back to vitality.
What you can expect from a consult
We will discuss your health, your health goals, what’s important to you, the way you want to feel and figure out how we’re going to make that happen. Appointments take 60 minutes initially and then between 30 and 45 minutes thereafter.
You can expect a personalised health plan and prescription including all or any of the following
Herbal Medicine
Herbal medicines are the original medicines, and in fact 70% of pharmaceutical medicines in use today are based on herbal medicines. This is because plants are made up of some pretty similar stuff to us, at a molecular level, and the phytochemicals (plant-chemicals) they produce interact easily with our own body chemicals, gently inspiring your own body to heal and balance.
## Materials data from another source follow
'''
# Na2SI2

Crystalline Na2SI2 at its relaxed geometry (PBE, Alexandria).

Results
- Fermi-level density of states (states/eV per atom) = 0.02
- formation energy (no corrections) (eV/atom) = -0.511
- DFT total energy (eV per atom) = -2.484
- energy above the lowest structure with this stoichiometry (meV/atom) = 126

Cell: 8.371 8.371 4.401 Å, 90.00 90.00 90.00°
Fractional coordinates of all 10 atoms:
Na (0.152, 0.348, 0.000)
Na (0.348, 0.848, 0.000)
Na (0.652, 0.152, 0.000)
Na (0.848, 0.652, 0.000)
S (0.000, 0.000, 0.500)
S (0.500, 0.500, 0.500)
I (0.169, 0.669, 0.500)
I (0.331, 0.169, 0.500)
I (0.669, 0.831, 0.500)
I (0.831, 0.331, 0.500)

~~~~~

Computed, not measured: a relaxed SrMg2Br crystal at the PBE level of DFT.

```
4
Lattice="-0.820 -0.429 -3.670 -2.904 -2.252 0.912 -6.931 6.135 0.831" Properties=species:S:1:pos:R:3 pbc="T T T"
Sr -5.172 1.887 0.935
Mg -2.651 -1.420 0.758
Mg -2.583 0.768 -1.464
Br -8.069 1.910 -0.372
```

E = -2.197 eV per atom
formation energy from raw total energies = -0.561 eV per atom
V = 130 Å³/cell
size of the total moment = 0.00 μB per atom

Computed, not measured: a relaxed SrMgBr2 crystal at the PBE level of DFT.

```
4
Lattice="-1.805 -4.882 -0.094 4.859 -1.812 0.816 -0.670 0.164 4.353" Properties=species:S:1:pos:R:3 pbc="T T T"
Br 0.000 0.000 0.000
Br 1.527 -3.347 0.361
Sr 2.094 -0.824 2.585
Mg -1.238 -2.359 2.129
```

E = -2.706 eV per atom
formation energy from raw total energies = -1.051 eV per atom
V = 120 Å³/cell
size of the total moment = 0.00 μB per atom

Computed, not measured: a relaxed SrMg2Br crystal at the PBE level of DFT.

```
4
Lattice="3.838 0.000 0.000 0.000 3.838 0.000 0.000 0.000 9.561" Properties=species:S:1:pos:R:3 pbc="T T T"
Sr 0.000 0.000 4.811
Br 1.919 1.919 6.445
Mg 1.919 1.919 2.274
Mg 0.000 0.000 0.811
```

E = -2.193 eV per atom
formation energy from raw total energies = -0.557 eV per atom
V = 141 Å³/cell
size of the total moment = 0.00 μB per atom

Computed, not measured: a relaxed SrMgBr crystal at the PBE level of DFT.

```
6
Lattice="-1.302 3.710 1.433 1.520 -2.853 2.659 14.960 6.047 -2.065" Properties=species:S:1:pos:R:3 pbc="T T T"
Mg 0.650 -0.746 2.523
Mg 8.045 2.375 1.161
Br 3.748 0.636 1.758
Br 12.345 4.111 0.572
Sr 9.661 5.595 0.401
Sr 4.549 3.529 1.106
```

E = -2.361 eV per atom
formation energy from raw total energies = -0.711 eV per atom
V = 247 Å³/cell
size of the total moment = 0.00 μB per atom

Computed, not measured: a relaxed SrMgBr2 crystal at the PBE level of DFT.

```
4
Lattice="-5.302 -3.031 0.347 3.977 -4.641 0.252 -0.386 -2.469 4.116" Properties=species:S:1:pos:R:3 pbc="T T T"
Sr 1.795 -3.555 2.184
Br -0.663 -3.836 0.300
Br 0.000 0.000 0.000
Mg -2.844 -2.750 2.232
```

E = -2.681 eV per atom
formation energy from raw total energies = -1.026 eV per atom
V = 144 Å³/cell
size of the total moment = 0.00 μB per atom

Computed, not measured: a relaxed SrMg2Br crystal at the PBE level of DFT.

```
4
'''
## Back to the text
Nutritional Medicine
The stuff your body needs to thrive comes from the earth (food), the sun and the river streams (water) Nutritional medicine encompasses your diet and uses evidence based practice to concentrate specific nutrients into pills and powders for easy consumption and effective, long term healing with minimal side effects.
Food as Medicine
Figure out which foods have the right medicines for you and add them into your diet. All the inspiration you need in my recipe gallery.
The Sacred
• Misplaced crystal structures:
'''
Entry from Alexandria via LeMat-Bulk: a relaxed K2BaAsSe4 crystal (GGA-PBE).

a = 8.304 Å, b = 9.670 Å, c = 12.765 Å
α = 90.00°, β = 90.00°, γ = 90.00°
Space group Imma (No. 74)
Unique sites:
K (0.000, 0.000, 0.000) (multiplicity 4)
K (0.250, 0.250, 0.250) (multiplicity 4)
Ba (0.000, 0.000, 0.500) (multiplicity 4)
As (0.250, 0.250, 0.750) (multiplicity 4)
Se (0.000, 0.056, 0.751) (multiplicity 8)
Se (0.250, 0.250, 0.531) (multiplicity 8)

As for the raw formation energy: -852 meV/atom.

=====

VASP calculation (PBE) on crystalline SmDy7Er3 at its relaxed geometry.

The space group is P3m1 (No. 156) and the conventional cell measures 7.0332, 7.0332 and 8.5535 Å, with angles of 90.00, 90.00 and 120.00 degrees. The distinct sites, in fractional coordinates, are Sm at (0.0000, 0.0000, 0.0000), Dy at (0.0026, 0.5013, 0.0049), Dy at (0.3308, 0.1654, 0.6697), Dy at (0.3333, 0.6667, 0.6744) and Er at (0.1670, 0.3340, 0.3384).

Its energy above the most stable polymorph in this dataset is 0 meV/atom. The calculated formation energy comes out at 0.19 eV per atom. Its density of states at the Fermi level is 17.36 states/eV per cell.

---

VASP calculation (PBE) on crystalline La6TbSm2 at its relaxed geometry.

The space group is Cmmm (No. 65) and the conventional cell measures 9.577, 18.081 and 3.703 Å, with angles of 90.00, 90.00 and 90.00 degrees. The distinct sites, in fractional coordinates, are La at (0.172, 0.165, 0.000), La at (0.179, 0.000, 0.500), Tb at (0.000, 0.500, 0.000) and Sm at (0.000, 0.327, 0.500).

Its energy above the most stable polymorph in this dataset is 58 meV/atom. The calculated formation energy comes out at 0.12 eV per atom. Its density of states at the Fermi level is 27.72 states/eV per cell.

---

VASP calculation (PBE) on crystalline ZrTiAuCl2 at its relaxed geometry.

The space group is P4/mmm (No. 123) and the conventional cell measures 4.837, 4.837 and 5.933 Å, with angles of 90.00, 90.00 and 90.00 degrees. The distinct sites, in fractional coordinates, are Zr at (0.000, 0.000, 0.000), Ti at (0.000, 0.000, 0.500), Au at (0.500, 0.500, 0.500) and Cl at (0.000, 0.500, 0.000).

As for the uncorrected formation energy: 0.01 eV/atom. Its energy above the most stable polymorph in this dataset is 171 meV/atom. Its density of states at the Fermi level is 4.97 states/eV per cell.

---

VASP calculation (PBE) on crystalline Ca2Zn2F at its relaxed geometry.

The space group is I4/mmm (No. 139) and the conventional cell measures 3.627, 3.627 and 17.227 Å, with angles of 90.00, 90.00 and 90.00 degrees. The distinct sites, in fractional coordinates, are Ca at (0.000, 0.000, 0.102), Zn at (0.000, 0.500, 0.250) and F at (0.000, 0.000, 0.500).

As for the uncorrected formation energy: -0.80 eV/atom. Its energy above the most stable polymorph in this dataset is 240 meV/atom. Its density of states at the Fermi level is 6.55 states/eV per cell.

---

VASP calculation (PBE) on crystalline Sc4Al3 at its relaxed geometry.
'''
• So much for the crystal structures:
There’s an undeniable heart expansion perceptible when you honour your spirit. Allowing space for stillness, feeling into the present moment, noticing what exists in the spaces between your breath, and bringing it into focus heals on levels we can’t yet measure. Expect recommendations and resources to honour your spirit.
So what’s a naturopath anyway?
My mother never took me to see an alternative healthcare practitioner of any sort. If I hadn’t become so fascinated in nutrition and turned to google one day I may never have found out. Now I’m truly passionate about naturopathic medicine as a well rounded, affordable and effective health care with real value for everyone in our community. To put it simply, a naturopath uses herbal and nutritional science to get you healthy, and ideally, Super healthy. We see you for about an hour or maybe two, depending on the practitioner. We have a good long chat, we look at your blood tests. We’ll talk about your diet, your lifestyle, and then we discuss nutritional, herbal solutions that are chosen based on your individuality to help you and your body gently heal and reach optimum health.
Does herbal medicine actually work?
Yes herbal medicine absolutely works and is a wonderful tool for helping the body to heal. There are thousands of studies proving herbal medicines are effective in many different conditions. Plant medicine is 100% natural and organic, just like you are. Our bodies have a natural affinity for naturally occurring compounds, be they nutritional or medicinal. Just think about how good you feel after a vitality giving green juice compared to an artificially coloured, flavoured and sugared up refreshment. Your body can assimilate the goodness in an earth created product much easier.
Naturopaths and Doctors
Modern naturopathy combines evidence based science and modern testing techniques with traditional knowledge and health care. Naturopaths help you heal and repair back to a level of optimum health.
Your naturopath may refer you back to your doctor for testing and diagnosis of a suspected condition. Once diagnosed, we will work with you and your doctor to give you the best, well rounded, health care possible.
Gentle nurturing to help your body heal itself
Naturopaths are trained to help you with any medical condition, and treat based on the whole person, rather then individual symptoms. Naturopaths are great for dealing with chronic conditions such as allergies and auto-immune disease. The aim of naturopathic medicine is to get to the source of the problem and heal you from the inside out.
Case Study: Sally has eczema on her hand
Sally goes to her GP with eczema who prescribes her a corticosteroid cream, a potent anti-inflammatory to make the symptoms go away. It works quickly and her skin clears. However once she stops using that cream Sally’s eczema comes back. She is frustrated and feels like she’s going round in circles. Sally doesn’t want to use the cream long term because she knows continual use of topical steroids thins the skin, weakens the bodies innate ability to heal, and also may interrupt her natural hormonal balance.
Whole Body Healing
Sally see’s her naturopath and is prescribed a herbal anti-inflammatory cream to protect the inflamed skin and lessen symptoms, without any side effects. Her naturopath takes a full health and diet check, and identifies possible lifestyle factors that may be contributing to her skin condition. Together Sally and her naturopath eliminate irritants from the diet, and treat Sally’s digestive system and detoxification pathways. After 6 weeks the eczema has healed on its own, and after 12 weeks Sally is able to reintroduce some of the irritant foods with no re-occurrence of symptoms. Sally also has lost a little weight, is sleeping better and has more energy
Naturopaths have Science Degrees
It takes four years study in a full time science degree to graduate as a degree qualified naturopath.
Time to talk:
A consult with your naturopath takes an hour initially, and an average of 30 – 50 minutes for each consult thereafter. These long consults are an opportunity to really explore your health and lifestyle thoroughly and identify ways and means to improve your experience of living. Your health is important and often the value of having someone to really listen to you rather then rush you out the door can be priceless. The act of talking and being heard is often quite healing in itself. A naturopath gives you the benefit of being heard by a scientifically trained expert in herbal and nutritional medicine, who can really give you solid strategies for achieving your health goals.
Healthily Yours
For the sake of better health, I want you to think seriously and honestly about what habits are impacting negatively on your health and what can you can do to avoid those triggers.